Wednesday, January 29, 2014

Book Review: Chinghiz Aitmatiov’s "The Day Lasts More than a Thousand Years"

Chinghiz Aitmatiov’s The Day Lasts More than a Thousand Years is a timeless novel occurring at a very specific location and time – Kazakhstan in the late-to-mid period of the Soviet Union – and tells it in such a way that it speaks to everyone.

Aitmatov introduces us to Yedigei Burriani, a Kazakh worker on a Soviet railroad, who aims to bury his best friend in a historic Muslim graveyard. It’s hallowed ground because of Naiman-Ana, a long-suffering mother whose son was gruesomely transformed into a mankurt – an old Kazakh myth used here as a brilliant metaphor. In fact, as with any good Soviet novel, ambivalent metaphors abound: there’s even a science fictional subplot about our first contact with alien races that can be read as a prejudice of the unknown, as a critique of the Cold War, or even just as the impossibility of true communication between two sentient beings. And all of this occurs without feeling academic in the least – on the contrary, Aitmatov’s prose (translated by John French) is naturally beautiful, effortlessly flowing along from one story to another, always circling back to Burriani and his continual questioning about his purpose, and the conflict of the past with the modern. For example, the characters in the book honor the traditional Kazakh ways of living, (although Aitmatov doesn't whitewash out the harshness of this lifestyle) but also do not deny themselves the benefits of modern technology. On the contrary, Aitmatov seems genuinely excited about the possibilities of modernity – mainly the ability to quickly travel long distances and benefits of communications with other cultures that this engenders, but also smaller things. For instance, one great set piece involves Burriani’s famously powerful camel raging about in heat (powerfully symbolizing primal human emotions) but when it comes time to actually perform the burial, the hard work is done with a backhoe.

Overall, this may have been the most entertaining book I read in 2013. It came from an honest, true place and spoke to me on many levels. It was also a fascinating glimpse into a part of the world I know nothing about – just looking at some of the pictures of the Kazakh steppe quickly reveal how truly foreign this land is to me. Luckily we have fantastic books like The Day Lasts More than a Thousand Years to give us a sense of what it's like.

Cross Posted at Reading, Running and Red Sox.
Related Post: First Lines of The Day Lasts More than a Thousand Years

Tuesday, January 28, 2014

The Fertility of his Imagination

"The doctor had been a very stubborn prisoner, and, as a natural consequence of that “bad disposition” (so Father Beron called it), his subjugation had been very crushing and very complete.  That is why the limp in his walk, the twist of his shoulders, the scars on his cheeks were so pronounced. His confessions, when they came at last, were very complete, too. Sometimes on the nights when he walked the floor, he wondered, grinding his teeth with shame and rage, at the fertility of his imagination when stimulated by a sort of pain that makes truth, honour, self-respect, and life itself matters of little moment."

Joseph Conrad, Nostromo, page 268

Best known for the incredible Heart of Darkness, Conrad also wrote a larger number of novels. This little gem of a book is one that I picked up when I was living in New Mexico. I can't say I remember all of it but what I do remember was a powerful picture of a Latin American town under the grip of the interests controlling a silver mine outside of town. I also remember being impressed with its political honestly, and lucid prose. If anyone out there recommends any other Conrad, i'm open to reading another of his books.

Monday, January 27, 2014

First Lines of Haruki Murakami's "A Wild Sheep Chase"

47
Properties=species:S:1:pos:R:3 method="wB97M-V/def2-TZVPD" spin_multiplicity=6 homo_lumo_gap_ev="4.48 / 6.27" charge=-2
Co 0.559 0.234 0.897
O -1.313 0.961 1.124
N -1.936 0.631 2.243
C -2.707 1.584 2.809
C -3.455 1.324 3.924
C -3.389 0.034 4.470
C -2.580 -0.912 3.896
C -1.798 -0.633 2.753
S -0.724 -1.705 2.007
H -2.664 2.528 2.289
H -4.061 2.107 4.354
H -3.971 -0.218 5.348
H -2.499 -1.909 4.303
C 4.084 -3.336 -1.356
C 3.889 -2.339 -2.303
C 2.822 -1.460 -2.217
C 1.913 -1.562 -1.153
C 2.120 -2.565 -0.193
C 3.187 -3.436 -0.295
N 0.826 -0.709 -1.002
N 0.561 -0.047 -2.135
C -0.594 0.733 -2.106
C -0.471 2.085 -2.449
C -1.582 2.899 -2.519
C -2.848 2.378 -2.263
C -2.981 1.037 -1.947
C -1.874 0.201 -1.866
H 4.932 -4.007 -1.426
H 4.594 -2.226 -3.120
H 2.689 -0.659 -2.930
H 1.437 -2.635 0.640
H 3.327 -4.195 0.466
H 0.533 2.463 -2.590
H -1.461 3.950 -2.754
H -3.726 3.012 -2.313
H -3.966 0.624 -1.766
F 3.288 2.201 -1.414
Te 3.399 1.582 0.586
F 2.663 2.620 2.006
F 1.208 1.940 0.122
F 4.538 3.153 0.516
F 4.781 1.033 1.933
O 2.080 0.038 1.629
I -3.861 -2.210 -1.964
C -1.951 -1.263 -1.557
H -1.246 -1.821 -2.167
H -1.775 -1.503 -0.513

=====

22
Properties=species:S:1:pos:R:3 method="wB97M-V/def2-TZVPD" spin_multiplicity=1 relative_energy_kj_mol=77.9 smiles="CCCCNC(N)=[NH2+]" homo_lumo_gap_ev=10.85 charge=+1
C -2.094 0.877 -1.774
C -1.321 -0.206 -0.992
C -1.342 0.090 0.514
C -0.408 -0.807 1.324
N 0.904 -0.180 1.627
C 1.892 -0.101 0.687
N 2.863 -0.967 0.785
N 1.909 0.781 -0.299
H -1.489 1.408 -2.507
H -2.555 1.622 -1.128
H -2.889 0.429 -2.360
H -0.346 -0.309 -1.470
H -1.705 -1.211 -1.198
H -1.008 1.124 0.609
H -2.381 0.026 0.806
H -0.169 -1.697 0.735
H -0.802 -1.141 2.275
H 0.731 0.711 2.077
H 2.756 -1.669 1.505
H 3.586 -1.106 0.098
H 1.118 1.363 -0.489
H 2.748 0.962 -0.824

=====

61
Properties=species:S:1:pos:R:3 method="wB97M-V/def2-TZVPD" spin_multiplicity=1 relative_energy_kj_mol=2434.8 homo_lumo_gap_ev=7.72
C 0.523 0.793 -1.802
C 0.330 0.902 -3.270
O 1.148 -0.135 -3.936
C 2.525 0.200 -4.161
O 2.795 0.513 -5.587
C 2.651 1.846 -6.074
C 1.402 1.918 -6.844
H 1.338 0.903 -7.650
H 0.483 1.324 -6.202
H 1.052 2.731 -7.174
H 2.753 2.362 -5.168
H 3.495 1.873 -6.779
C 3.171 -1.033 -3.887
N 2.907 -1.709 -2.510
C 3.164 -1.292 -1.422
O 4.247 -0.304 -1.251
C 2.431 -1.638 -0.218
C 1.976 -2.969 -0.248
C 1.206 -3.649 0.986
C 1.232 -2.709 2.058
C 1.675 -1.556 1.977
C 2.619 -0.994 0.952
H 2.980 -0.100 1.036
H 1.796 -0.815 2.975
C 0.247 -3.504 3.181
N -0.825 -2.312 3.515
C -0.937 -1.332 4.449
O -0.016 -1.710 5.540
C -1.806 -0.336 4.407
C -2.597 -0.013 5.632
C -3.560 0.759 5.562
C -3.955 1.477 4.259
C -3.118 1.218 3.234
C -2.243 0.315 3.180
H -1.599 0.056 2.330
O -3.289 1.805 2.157
C -2.728 1.561 0.856
H -2.787 2.545 0.241
H -1.504 1.854 1.099
H -2.535 0.623 0.513
O -4.861 2.630 4.557
C -5.049 3.339 3.371
H -4.476 3.932 2.902
H -6.160 3.966 3.681
H -5.650 2.515 2.469
H -4.284 1.193 6.500
H -2.455 -0.478 6.562
H -1.578 -2.023 2.759
H -0.115 -4.360 3.060
H 1.048 -3.228 4.051

“It was a short one-paragraph item in the morning edition. A friend rang me up and read it to me. Nothing special. Something a rookie reporter fresh out of college might’ve written for practice.
The date, a street corner, a person driving a truck, a pedestrian, a casualty, an investigation of possible negligence.
Sounded like one of those poems on the inner flap of a magazine.
“Where’s the funeral?” I asked.
“You got me,” he said. “Did she even have family?”
- Haruki Murakami, A Wild Sheep Chase, page 1.

Cleaning up my bookshelves, I picked up A Wild Sheep Chase and was immediately hooked again. It's an incredible book; each of the first 11 chapters is a fantastic short story in its own right. My memory of this book was clouded by what I remember as a dissatisfying ending and its disappointing sequel Dance Dance Dance, so it's a joy to discover it again, even if it means that i'm losing more sleep than I can afford.

Thursday, January 16, 2014

Expansive Moods over the Wines of Several Countries

"He came to know [his children] much better than Nicole did, and in expansive moods over the wines of several countries he talked and played with them at length. They had that wistful charm, almost sadness, peculiar to children who have learned early not to cry or laugh with abandon; they were apparently moved to no extremes of emotion, but content with a simple regimentation and the simple pleasures allowed them. They lived on the even tenor found advisable in the experience of old families of the Western world, brought up rather than brought out. Dick thought, for example, that nothing was more conductive to the development of observation than compulsory silence."

- F. Scott Fitzgerald, Tender is the Nightpages 254-5

I read TitN in college for a Hemingway and Fitzgerald class. It's a beautifully written book containing very astute observations about trivial people I just didn't care about - perfect for quoting!

### What comes next are calculated molecules, not part of the entry
/*
(1)
ORCA calculation (ωB97M-V/def2-TZVPD) on 2 unconnected molecules or ions with the total composition C27H42BClF11N3O6P2S in a non-equilibrium geometry.

Cartesian coordinates (Å):
C (-5.942120, 1.174517, -0.706781)
C (-5.278260, 0.060936, -1.546540)
C (-4.427264, -0.856256, -0.642997)
C (-3.190871, -1.594822, -1.250948)
C (-3.140557, -1.605332, -2.787839)
C (-1.864734, -1.354756, -0.441274)
P (-2.028338, -2.211704, 1.301714)
O (-2.610238, -3.663427, 0.933329)
O (-3.270898, -1.364866, 1.950496)
C (-1.595325, 0.089361, 0.015728)
N (-0.548753, 0.883691, -0.743918)
C (-0.963356, 0.956992, -2.212576)
N (-2.345150, 1.196025, -2.428958)
C (-0.509190, 2.331708, -0.241277)
F (-1.490868, 2.992748, -0.872710)
F (0.622512, 2.854076, -0.701642)
C (-0.736008, 2.810731, 1.269302)
F (0.185397, 2.435841, 2.165568)
F (-0.573245, 4.122325, 1.096491)
C (-2.123364, 2.627965, 1.977266)
F (-2.192160, 3.523934, 2.948587)
F (-2.214798, 1.403536, 2.535955)
F (-3.145851, 2.798315, 1.137886)
C (0.844808, 0.147978, -0.679567)
C (1.621688, 0.561687, 0.614575)
C (2.590912, 1.737159, 0.679087)
O (3.472034, 1.412413, 1.741443)
C (4.286213, 2.530243, 2.111761)
C (3.680841, 3.318342, 3.279459)
C (1.769885, 0.473517, -1.892385)
C (1.819899, -0.379198, -3.164961)
O (2.519483, -1.325210, -3.313616)
Cl (0.928353, 0.225346, -4.596773)
C (0.608965, -1.379185, -0.402792)
C (1.946610, -2.142096, -0.536813)
C (2.459228, -2.858143, 0.708500)
C (1.630123, -3.331974, 1.721538)
C (2.138236, -3.952629, 2.848905)
C (3.506933, -4.103103, 2.991226)
C (4.341748, -3.642002, 1.985685)
C (3.845091, -3.018592, 0.845050)
C (4.836472, -2.553321, -0.193757)
N (-0.638083, -1.970774, -1.008013)
P (-0.579496, -3.525764, -1.654715)
O (0.375736, -3.217524, -2.920452)
O (0.285890, -4.403403, -0.626253)
S (-2.118742, -4.559240, -2.193996)
H (-5.289848, 2.049772, -0.637931)
H (-6.912126, 1.467883, -1.102769)
H (-6.101024, 0.838213, 0.321433)
H (-4.707283, 0.541999, -2.332205)
H (-6.089191, -0.523951, -1.982638)
H (-5.128178, -1.605870, -0.265076)
H (-4.167446, -0.283424, 0.243489)
H (-3.410305, -2.636419, -1.018652)
H (-3.591302, -0.741391, -3.259613)
H (-3.633247, -2.495830, -3.171898)
H (-2.112797, -1.673070, -3.155328)
H (-3.569448, -3.749670, 0.839330)
H (-3.087804, -1.266083, 2.893062)
H (-1.206503, 0.059785, 1.038222)
H (-2.497827, 0.684320, 0.060656)
H (-0.333599, 1.701918, -2.700189)
H (-0.725647, -0.036983, -2.591111)
H (-2.671909, 1.067419, -3.365353)
H (-2.939114, 1.670044, -1.782115)
H (0.891235, 0.597443, 1.422749)
H (2.226747, -0.292021, 0.927744)
H (3.181286, 1.883713, -0.232890)
H (2.137036, 2.697122, 0.913227)
H (5.246245, 2.108468, 2.412803)
H (4.459547, 3.181992, 1.251625)
H (4.451017, 3.580470, 4.003787)
H (2.911214, 2.721161, 3.767414)
H (3.227791, 4.253325, 2.942266)
H (2.790833, 0.362410, -1.531143)
H (1.688681, 1.509084, -2.212869)
H (0.417902, -1.410587, 0.674127)
H (2.714947, -1.390907, -0.697561)
H (2.026501, -2.764584, -1.419161)
H (0.558574, -3.224957, 1.637313)
*/

Generally, I'm in the process of paring down my bookshelves in preparation for a move, so you'll probably see a lot more of these random quotes over the next month or so.

Monday, January 13, 2014

First Lines of Bob Johansen's "Leaders Make the Future"

"Listening for the future is hard work. Leaders must learn how to listen through the noise of a VUCA World of Volatility, Uncertainty, Complexity, and Ambiguity.
But leaders can make a better future. We need not and should not passively accept any future as a given. Disciplined use of foresight can help leaders make better decisions today. There is short-term value in long-term thinking."

- Bob Johansen, from Leaders Make the Future: Ten New Leadership Skills for an Uncertain World.

Records of molecules, as found in the file.
********
1.
The following is a quantum chemistry calculation of C4H4OPt as an isolated structure, from the OMol25 dataset.

Output
Total charge ... -1
E_LUMO (alpha / beta) ... 3.53 / 3.26 eV
Spin multiplicity ... 4
Electronic energy ... -9499.2887 eV

```
10
Properties=species:S:1:pos:R:3:forces:R:3
H -0.4875 -2.8909 0.5436 0.2310 0.4253 0.6133
C -0.1489 -1.8590 0.5455 -0.1413 0.2078 -1.5135
C 0.5354 -1.1427 -0.2323 -1.1374 0.3087 1.1402
C 0.8193 0.1069 -0.8225 -0.0272 0.8693 0.4488
H 0.6232 0.1515 -1.9020 -0.0748 0.0941 0.3398
H 1.8007 0.5217 -0.5557 -0.2345 -0.0445 -0.1673
C -0.5929 1.2764 0.1403 2.5351 1.2051 -0.7813
O -0.2770 1.5056 1.4178 2.6350 2.5103 -1.3532
Pt -1.6053 0.1202 1.3366 -3.8235 -4.9657 1.3137
H -0.6669 2.2103 -0.4713 0.0376 -0.6104 -0.0408
```
Forces are in eV/Å.

---

2.
The following is a quantum chemistry calculation of C4H4ORb as an isolated structure, from the OMol25 dataset.

Output
Total charge ... 0
E_LUMO (alpha / beta) ... -0.60 / -0.60 eV
Spin multiplicity ... 2
Energy above the lowest of the compared OMol25 structures with the same formula, charge and spin ... 12.0 kcal/mol
Electronic energy ... -6909.8381 eV

```
10
Properties=species:S:1:pos:R:3:forces:R:3
C 1.9290 2.4335 1.8833 0.1407 -0.0318 -0.8570
C 1.8846 2.5487 0.6793 -0.1376 -0.0452 0.9050
H 1.8028 2.6947 -0.3863 0.0725 -0.0787 0.4849
H 2.0351 2.3321 2.9525 -0.0993 0.1072 -0.5322
C -1.6044 -1.1128 -1.7791 0.2551 0.2875 0.1547
C -1.8510 -2.1760 -0.9733 0.3433 -0.0101 0.2462
O -0.9802 -2.8004 -0.2372 -0.0528 0.4952 0.0572
Rb 0.4220 -0.7133 1.0345 -0.5203 -0.4520 -0.5111
H -0.7230 -0.7212 -2.2948 -0.2747 -0.2931 0.0969
H -2.9149 -2.4854 -0.8789 0.2731 0.0209 -0.0444
```
Forces are in eV/Å.

---

3.
The following is a quantum chemistry calculation of an isolated molecule of C4H4OS, from the OMol25 dataset.

Output
Total charge ... 0
E_LUMO (alpha / beta) ... -0.09 / -0.09 eV
Energy above the lowest of the compared OMol25 structures with the same formula, charge and spin ... 64.4 kcal/mol
Electronic energy ... -17092.3504 eV

```
10
Properties=species:S:1:pos:R:3:forces:R:3
C -0.7287 1.0110 0.1310 -0.5556 0.0411 -0.0800
C 0.6705 0.6864 0.1477 0.2039 0.3779 0.0543
C -1.6456 0.0527 -0.1303 0.1134 -0.1218 0.0182
C 1.1341 -0.5116 -0.0985 -2.6838 -1.8231 -0.2034
O 2.0783 -1.3237 -0.4197 0.5079 0.2475 -0.2032
S -1.2191 -1.5531 -0.4768 2.2509 0.7779 0.2058
H -1.0457 2.0135 0.3685 0.1014 0.1245 0.0302
H 1.3527 1.4770 0.4358 0.3063 -0.0675 -0.0274
H -2.7032 0.2662 -0.0942 -0.1149 0.1964 0.0915
H 2.1068 -2.1184 0.1366 -0.1295 0.2470 0.1140
```
Forces are in eV/Å.

---

4.
The following is a quantum chemistry calculation of an isolated molecule of C4H4OS, from the OMol25 dataset.

Output
Total charge ... 0
E_LUMO ... 0.72 eV
Energy above the lowest of the compared OMol25 structures with the same formula, charge and spin ... 48.2 kcal/mol
Electronic energy ... -17093.0566 eV

```
10
Properties=species:S:1:pos:R:3:forces:R:3
C 0.5865 0.6007 0.0708 -0.3444 -1.3822 -0.7349
********
End of the records of molecules.

I'm reading this one for a development program at work. While I've always been fascinated with prognostication, this book goes beyond the speculation (and specifics) of SciFi and impressively details the specific trends underlying its predictions as well as the way it uses these predictions to recommend tactics for dealing with this future.

Wednesday, January 8, 2014


Check out Alexey Kljatov's snowflake pictures. They remind me of mandalas.

Tuesday, January 7, 2014

Life is a Daring Adventure

"Security is mostly a superstition. It does not exist in nature, nor do the children of men as a whole experience it. Avoiding danger is no safer in the long run than outright exposure. Life is either a daring adventure, or nothing."

- Helen Keller

Monday, January 6, 2014

First Lines of Stephen King's "Doctor Sleep"

"On the second day of December in a year when a Georgia peanut farmer was doing business in the White House, one of Colorado's great resort hotels burned to the ground. The Overlook was declared a total loss."

- Stephen King, from Doctor Sleep.

I didn't want to be reading another SK book, but I flipped through the first few pages of this sequel to The Shining, depicting Danny as a middle-aged alcoholic whose shining has come back with a vengeance, and was (of course) hooked. Damn him. More when I come up for air - most likely after a sleepless night spent plowing through the last 150 pages.

Thursday, January 2, 2014

First Lines of Alan Moore's "The Saga of the Swamp Thing"

"It's raining in Washington tonight. Plump, warm summer rain that covers the sidewalks with leopard spots. Downtown, elderly ladies carry their houseplants out to set them on the fire escapes, as if they were infirm relatives or boy kings."
- Alan Moore, The Saga of the Swamp Thing #21.

Big Alan Moore fan here, but for some reason i've never read his classic run on Swamp Thing. I rectified some of that by plowing through The Saga of the Swamp Thing Book 1 yesterday. Great stuff. I'll be posting my thoughts on it and some of the other graphic novels I read in late 2013 shortly.